Material:
........
Na5MoNO4: computed PXRD pattern (Cu Kα (λ = 1.5418 Å)), based on DFT lattice parameters and positions (PBE+U).
Peak positions follow from Bragg's law for the DFT cell and can differ from measured ones.

Atomic structure:
a b c (Å): 9.9519 5.8451 10.8364
angles (deg): 90.00 90.00 90.00
Space group Cmcm (No. 63)
Unique sites:
Na 0.0000 0.0000 0.0000 [4 per cell]
Na 0.1875 0.1433 0.2500 [8 per cell]
Na 0.1915 0.5000 0.0000 [8 per cell]
Mo 0.0000 0.2929 0.7500 [4 per cell]
N 0.0000 0.4066 0.2500 [4 per cell]
O 0.1377 0.1970 0.6271 [16 per cell]

Largest 6 diffraction maxima, in order of falling intensity, 10 to 90 degrees two-theta:
2θ = 19.42°, rel. 100, (1 1 1); 2θ = 35.24°, rel. 37, (3 1 2); 2θ = 40.00°, rel. 36, (3 1 3); 2θ = 16.36°, rel. 29, (0 0 2); 2θ = 34.88°, rel. 29, (0 2 2); 2θ = 24.29°, rel. 22, (2 0 2)

* * * * *

[1]
Starting from a DFT-relaxed cell (GGA-PBE, Alexandria), the XRD peak list of EuSc3 was simulated for λ = 1.5418 Å (Cu Kα).

Top 10 peaks for 10° ≤ 2θ ≤ 90°, low angle first:
| Position (°2θ) | I_rel | (hkl) |
| --- | --- | --- |
| 14.82 | 29 | 0 0 1 |
| 16.35 | 27 | 0 1 0 |
| 22.14 | 32 | 0 1 1 |
| 30.44 | 35 | 1 0 1 |
| 33.05 | 38 | 0 2 0 |
| 34.26 | 56 | 0 1 2 |
| 34.74 | 100 | 1 1 1 |
| 45.55 | 25 | 1 2 1 |
| 60.13 | 19 | 1 3 1 |
| 64.27 | 20 | 1 2 3 |

Crystal structure
```
data_EuSc3
_cell_length_a 3.371
_cell_length_b 5.420
_cell_length_c 5.977
_cell_angle_alpha 90.00
_cell_angle_beta 90.00
_cell_angle_gamma 90.00
_symmetry_space_group_name_H-M 'P m m 2'
_symmetry_Int_Tables_number 25
loop_
_symmetry_equiv_pos_as_xyz
'x,y,z'
'-x,-y,z'
'-x,y,z'
'x,-y,z'
loop_
_atom_site_label
_atom_site_fract_x
_atom_site_fract_y
_atom_site_fract_z
_atom_site_occupancy
Eu1 0.000 0.000 0.000 1
Sc1 0.000 0.500 0.661 1
Sc2 0.500 0.000 0.497 1
Sc3 0.500 0.500 0.189 1
```


[2]
Starting from a DFT-relaxed cell (GGA-PBE, Alexandria), the XRD peak list of Li6AcPd4 was simulated for λ = 1.5418 Å (Cu Kα).

Top 10 peaks for 10° ≤ 2θ ≤ 90°, low angle first:
| Position (°2θ) | I_rel | (hkl) |
| --- | --- | --- |
| 14.07 | 42 | 1 0 0 |
| 24.49 | 44 | 1 1 0 |
| 25.61 | 100 | 1 0 1 |
| 28.36 | 42 | 2 0 0 |
| 32.68 | 91 | 1 1 1 |
| 35.73 | 57 | 2 0 1 |
| 37.81 | 55 | 2 1 0 |
| 48.57 | 57 | 3 0 1 |
| 58.88 | 31 | 2 1 2 |
| 68.79 | 26 | 3 2 1 |

Crystal structure
```
data_Li6AcPd4
_cell_length_a 7.2688
_cell_length_b 7.2688
_cell_length_c 4.1723
_cell_angle_alpha 90.00
_cell_angle_beta 90.00
_cell_angle_gamma 120.00
_symmetry_space_group_name_H-M 'P -6 m 2'
_symmetry_Int_Tables_number 187
_symmetry_space_group_name_Hall 'P -6 2'
loop_
_atom_site_label
_atom_site_fract_x
_atom_site_fract_y
_atom_site_fract_z
_atom_site_occupancy
Li1 0.2017 0.4033 0.0000 1
Li2 0.2471 0.1235 0.5000 1
Ac1 0.6667 0.3333 0.0000 1
Pd1 0.0000 0.0000 0.0000 1
Pd2 0.0723 0.5362 0.5000 1
```


[3]
Starting from a DFT-relaxed cell (GGA-PBE, Alexandria), the XRD peak list of Pm7Al2Au2 was simulated for λ = 1.5418 Å (Cu Kα).

Top 10 peaks for 10° ≤ 2θ ≤ 90°, low angle first:
| Position (°2θ) | I_rel | (hkl) |
| --- | --- | --- |
| 12.02 | 34 | 0 0 1 |
| 15.76 | 27 | 0 2 0 |
| 24.99 | 41 | 2 0 1 |
| 27.04 | 36 | 2 2 0 |
| 28.88 | 24 | 1 3 1 |
| 31.82 | 46 | 0 4 0 |
| 32.80 | 31 | 2 0 2 |
| 35.92 | 43 | 1 3 2 |
| 36.59 | 100 | 2 2 2 |
| 44.52 | 21 | 4 0 0 |

Crystal structure
```
data_Pm7Al2Au2
_cell_length_a 8.141
_cell_length_b 11.248
_cell_length_c 7.364
_cell_angle_alpha 90.00
_cell_angle_beta 90.00
_cell_angle_gamma 90.00
_symmetry_space_group_name_H-M 'C m m m'
_symmetry_Int_Tables_number 65
_symmetry_space_group_name_Hall '-C 2 2'
loop_
_atom_site_label
_atom_site_fract_x
........

Activity:
Now filter the contents earlier on: keep the lines with the word "parameters".

Result:
Na5MoNO4: computed PXRD pattern (Cu Kα (λ = 1.5418 Å)), based on DFT lattice parameters and positions (PBE+U).